_Exercise_
Could you print every line further down that contains the word "structures"?
_Given_
'''
(1)
The following is a DFT calculation (ωB97M-V/def2-TZVPD) of a 2-piece molecular cluster, C5H15NO overall.

XYZ file:
```
22
Properties=species:S:1:pos:R:3
C -1.629 1.740 -0.544
C -0.347 0.765 -0.641
C 0.903 1.045 0.239
C 1.951 -0.077 0.261
C 0.512 1.382 1.672
N -0.791 -0.595 -0.575
H -1.402 2.681 -0.051
H -1.904 1.961 -1.574
H -2.446 1.203 -0.064
H -0.010 0.910 -1.675
H 1.467 1.869 -0.216
H 2.067 -0.701 -0.626
H 1.781 -0.728 1.125
H 2.966 0.318 0.339
H 0.005 2.344 1.737
H -0.246 0.639 1.981
H 1.302 1.218 2.398
H -1.386 -0.704 0.264
H -1.421 -0.760 -1.374
H -0.165 -3.978 0.321
H 0.207 -2.771 -0.484
O -0.432 -3.525 -0.474
```

## Properties
HOMO level (spin up / spin down): -15.4 / -15.3 eV
Multiplicity: 2
Frontier orbital gap (spin up / spin down): 12.15 / 6.26 eV
Energy above the lowest of the compared OMol25 structures with the same formula, charge and spin: 153.5 kJ/mol
E: -329.13782 Ha
<S²>: 0.755
Total charge: +1

These are the natural (NBO) partial charges, in e, on atoms 1 to 6: -0.555, -0.085, -0.234, -0.628, -0.610, -0.307


(2)
The following is a DFT calculation (ωB97M-V/def2-TZVPD) of a 2-piece molecular cluster, C5H15NO2 overall.

XYZ file:
```
23
Properties=species:S:1:pos:R:3
C -1.240 1.065 -1.097
N -0.810 -0.190 -0.478
C 1.834 1.582 0.623
C 1.403 0.090 0.867
C 0.640 -0.414 -0.401
C 0.617 -1.970 -0.407
O 2.002 -2.389 -0.302
H -2.328 1.109 -1.272
H -0.899 1.020 -2.147
H -0.872 2.007 -0.688
H -1.328 -0.436 0.356
H 1.021 2.040 0.070
H 1.937 2.161 1.545
H 2.733 1.523 0.005
H 2.398 -0.380 0.761
H 0.923 -0.195 1.782
H 1.120 0.064 -1.272
H 0.212 -2.353 -1.342
H 0.021 -2.357 0.449
H 2.002 -3.322 -0.556
H -3.773 1.050 0.641
H -3.560 0.101 1.848
O -4.054 0.195 1.014
```

## Properties
HOMO level (spin up / spin down): 1.0 / -5.1 eV
Multiplicity: 2
Frontier orbital gap (spin up / spin down): 2.34 / 8.37 eV
Energy above the lowest of the compared OMol25 structures with the same formula, charge and spin: 131.4 kJ/mol
E: -404.65126 Ha
<S²>: 0.750
Total charge: -1

These are the natural (NBO) partial charges, in e, on atoms 1 to 6: -0.567, -0.688, -0.638, -0.499, -0.071, -0.119


(3)
The following is a DFT calculation (ωB97M-V/def2-TZVPD) of a 2-piece molecular cluster, C5H15NO2 overall.

XYZ file:
```
23
Properties=species:S:1:pos:R:3
C 1.281 0.862 1.482
O 1.521 -0.505 1.187
C 1.253 1.796 0.256
C -0.162 1.784 -0.310
C -0.359 0.576 -1.212
C -1.597 -1.523 -1.550
N -0.945 -0.628 -0.580
H 0.316 0.931 2.022
H 2.107 1.049 2.232
H 0.699 -0.778 0.775
H 2.049 1.328 -0.326
H 1.486 2.784 0.711
H -0.846 1.718 0.496
H -0.372 2.587 -0.998
H -0.928 0.860 -2.089
H 0.649 0.253 -1.636
H -1.030 -1.842 -2.394
H -1.781 -2.520 -1.183
H -2.535 -1.061 -1.840
H -1.625 -0.350 0.112
H 0.260 -2.312 2.459
H 0.226 -2.288 0.777
O 0.334 -2.720 1.609
```

## Properties
HOMO level (spin up / spin down): 1.2 / -5.7 eV
Multiplicity: 2
Frontier orbital gap (spin up / spin down): 2.66 / 9.57 eV
Energy above the lowest of the compared OMol25 structures with the same formula, charge and spin: 197.3 kJ/mol
E: -404.62614 Ha
<S²>: 0.750
Total charge: -1

These are the natural (NBO) partial charges, in e, on atoms 1 to 6: -0.122, -0.762, -0.449, -0.620, -0.274, -0.685


(4)
The following is a DFT calculation (ωB97M-V/def2-TZVPD) of a 3-piece molecular cluster, C5H15NO2 overall.

XYZ file:
```
23
Properties=species:S:1:pos:R:3
C -1.953 1.396 0.939
N -1.529 0.450 -0.071
C -0.221 -0.142 0.137
C 0.948 0.819 0.353
C 2.209 0.405 -0.359
C 3.416 0.885 -0.086
H -2.930 1.787 0.713
H -1.273 2.254 1.054
H -2.079 0.948 1.930
H -1.558 0.930 -0.957
H -0.063 -0.810 -0.709
H -0.260 -0.830 0.972
H 1.177 0.974 1.403
H 0.682 1.810 -0.025
H 2.113 -0.306 -1.165
H 3.584 1.628 0.687
H 4.271 0.639 -0.696
H -2.103 0.090 -3.220
H -1.906 -1.424 -2.977
O -1.659 -0.694 -3.551
H 0.544 -3.588 1.913
H -1.053 -3.280 1.840
O -0.356 -3.941 1.873
```

## Properties
HOMO level: -9.1 eV
Frontier orbital gap: 9.84 eV
SMILES string: C=CCCNC.O.O
'''
_Reply_
Energy above the lowest of the compared OMol25 structures with the same formula, charge and spin: 153.5 kJ/mol
Energy above the lowest of the compared OMol25 structures with the same formula, charge and spin: 131.4 kJ/mol
Energy above the lowest of the compared OMol25 structures with the same formula, charge and spin: 197.3 kJ/mol